My idea on systemic mediation

Mediation is a “systemic way” for the settlement of disputes (systemic mediation), as opposed to the armed conflict or those in the courtroom, which are the “linear solutions” (i.e., based on the “cause and effect “ principle) to the respective types of conflicts[1].

This seems obvious enough for the first case.

When people hate another one – or, rather, they are induced to hate it – there is an enemy. The presence and the fear of an enemy is a dangerous situation (“cause”) , that triggers a reaction. If one uses the violence to deal such a situation (resolution methodology), the only possible solution is to eliminate the enemy physically (“effect”): this inevitably leads to death and destruction, whenever one sees a person who is qualified as an enemy. In this context, people are not free, as they have no choice about how to behave. Recourse to war does not even assess whether there is indeed an enemy to be feared and if the interaction with this subject can lead to completely different results .

Let’s see what happens when we resort to a trial in a court, in order to resolve a dispute in civil and commercial matters.

The situation at issue in the dispute ( the supply of a commodity does not conform to the contract, the marital betrayal , the clash between two vehicles , … ) is the “cause”.

The process (methodology of solution ) allows litigants to represent a particular case to a judge and ask him to declare what “effect” it follows up under the law applicable to the same case.

The entire mechanism is, however, not very efficient, since it is necessarily based on many simplifications and approximations .

Unrelated to this piece: materials data
'''
Entry 1:
# Ce2SiNi3Ge4 | Alexandria via LeMat-Bulk | PBE | optimized geometry
data_Ce2SiNi3Ge4
_cell_length_a 4.197
_cell_length_b 4.197
_cell_length_c 9.640
_cell_angle_alpha 90.00
_cell_angle_beta 90.00
_cell_angle_gamma 90.00
_symmetry_space_group_name_H-M 'P -4 m 2'
_symmetry_Int_Tables_number 115
loop_
_symmetry_equiv_pos_as_xyz
'x,y,z'
'y,-x,-z'
'-x,-y,z'
'-y,x,-z'
'-x,y,z'
'-y,-x,-z'
'x,-y,z'
'y,x,-z'
loop_
_atom_site_label
_atom_site_type_symbol
_atom_site_fract_x
_atom_site_fract_y
_atom_site_fract_z
Ce1 Ce 0.000 0.500 0.247
Si1 Si 0.000 0.000 0.500
Ni1 Ni 0.000 0.500 0.880
Ni2 Ni 0.500 0.500 0.500
Ge1 Ge 0.000 0.000 0.000
Ge2 Ge 0.000 0.500 0.639
Ge3 Ge 0.500 0.500 0.000
# Uncorrected formation energy   -608 meV per atom

Entry 2:
# Na2Zn2InAu5 | Alexandria via LeMat-Bulk | PBE | optimized geometry
data_Na2Zn2InAu5
_cell_length_a 10.141
_cell_length_b 10.141
_cell_length_c 3.863
_cell_angle_alpha 90.00
_cell_angle_beta 90.00
_cell_angle_gamma 90.00
_symmetry_space_group_name_H-M 'P 4/m b m'
_symmetry_Int_Tables_number 127
_symmetry_space_group_name_Hall '-P 4 2ab'
loop_
_atom_site_label
_atom_site_type_symbol
_atom_site_fract_x
_atom_site_fract_y
_atom_site_fract_z
Na1 Na 0.176 0.324 0.000
Zn1 Zn 0.122 0.622 0.000
In1 In 0.000 0.000 0.000
Au1 Au 0.000 0.500 0.500
Au2 Au 0.061 0.794 0.500
# Formation enthalpy at 0 K   -0.26 eV per atom

Entry 3:
# Ca2BiW | Alexandria via LeMat-Bulk | PBE | optimized geometry
data_Ca2BiW
_cell_length_a 8.597
_cell_length_b 8.597
_cell_length_c 5.894
_cell_angle_alpha 90.00
_cell_angle_beta 90.00
_cell_angle_gamma 90.00
_symmetry_space_group_name_H-M 'I -4 2 d'
_symmetry_Int_Tables_number 122
_symmetry_space_group_name_Hall 'I -4 2bw'
loop_
_atom_site_label
_atom_site_type_symbol
_atom_site_fract_x
_atom_site_fract_y
_atom_site_fract_z
Ca1 Ca 0.226 0.250 0.125
Bi1 Bi 0.000 0.000 0.500
W1 W 0.000 0.000 0.000
# Formation enthalpy at 0 K   0.87 eV per atom
'''

First, lawyers should seek to identify the facts relevant to the process, omitting all the other information on the facts that maybe very important for the parties, but irrelevant to the legal system.

Second, lawyers can apply to the court only remedies allowed under the law.

Based on these initial simplifications, the trial requires to put the judge in a position to know the situation at issue in the dispute. This occurs during the preparatory stage, through document exhibition, technical expertise and witnesses. However, as a result of the preparatory stage, there is often a situation that is never fully conform to reality. Maybe it has not been possible to produce all relevant documents, because they were lost or declared not acceptable by the judge, maybe the depositions of the witnesses did not allow a faithful reconstruction of the situation, … Anyway, the court shall decide on the basis of this “virtual” reality , often called the “reality of the trial”.

Following these steps, the dispute (“cause”) becomes crystallized in the judge’s eyes. In these conditions, he decides about it.

In fact, the magistrate merely states what king of legal “effects” are produced by the “cause”, applying them to parties. In this last phase, the eventual confusion in the relevant legal system comes to play a fundamental rule: the more obscure and uncertain it is, the greater will is in judge’s hands.

In this context, certainly the parties are never free to choose the solution on how to get out of the conflict, because it is imposed on them.

So clarified that the trial before a judge is a “linear method” for the solution of civil and commercial litigation, let’s try to understand why it is an inappropriate instrument.

Generally speaking, in the world of science is emerging awareness that the “linear approach” is wrong to deal with “complex systems”.

The “cause and effect” principle is valid to solve a simple case, such as a chemical reaction. For example, it works very well if you have to establish what consequences arising from a temperature change in a liquid contained in a tank. The result is predictable and measurable with accuracy. The same, however, does not apply at all when it comes to understand the results of a temperature change in the earth atmosphere or the results of an interest rate rise applied to a particular currency in the context of the global economy. In these situations, the “cause and effect” principle does not work, because “complex systems” operate according to different mechanisms, dictated by their own characteristics.

“Complex systems” have at least the following aspects[2]:

  • high number of elements involved;
  • non-linear interactions between the elements (even knowing the inputs into the system, one can’t know its outputs);
  • presence of negative and positive feed-back, released by any individual elements, as a result of the inputs into the system and subsequent reactions;
  • network structure, which binds together the elements involved in the system;
  • dynamicity ;
  • opening ;
  • creativity and innovation ;
  • unpredictability (in the long term, you do not know what effect can determine the inputs into the system, because of the influence produced by the feed-backs released from any individual elements);
  • non- controllability;
  • structuring of hierarchical levels of the elements involved;
  • delayed effects (a single input exerts different effects in the short, medium and long term).

Surely two enemy populations represent a “complex system”. However, it seems correctly to recognize the presence of a “complex system” even among the people involved in civil and commercial litigation .

Consequently both conflicts are not properly solved through the “linear mode”.

Thanks to its flexibility , mediation appears more appropriate to manage such conflicts. At the same time, the mediator must always be aware that he is working not with simple individuals, but with individuals embedded in a “complex system”.

To act effectively, the mediator must be able to provide the parties with a suitable environment , where they are given the opportunity to draw closer and begin to cooperate.

The same results of mediation are themselves elastic, since the content of any agreement (which is still a success) can be reduced only so much to some specific aspects of the conflict as a solution globally.

The mediator’s role is so central, but not absorbent , as equally important is that done by the other parties involved in the conflict (the so-called “stakeholders”), who can physically sit around the mediation table or can conditioning the negotiation from the outside.

## Someone pasted data records at this point
+++
# 1
The following is a PBE calculation of crystalline Ba2DyGaS5 at its relaxed geometry, from Alexandria via LeMat-Bulk.

a = 4.0615 Å, b = 9.4151 Å, c = 13.0221 Å
α = 90.00°, β = 90.00°, γ = 102.46°
Atoms (fractional coordinates):
S  0.4998  0.9996  0.7786
S  0.7038  0.4077  0.1650
S  0.2962  0.5923  0.6650
S  0.6526  0.3052  0.5077
S  0.3177  0.6355  0.3794
S  0.5002  0.0004  0.2786
S  0.0461  0.0922  0.0271
S  0.9539  0.9078  0.5271
S  0.6823  0.3645  0.8794
S  0.3474  0.6948  0.0077
Ba  0.8804  0.7607  0.1848
Ba  0.1196  0.2393  0.6848
Ba  0.8717  0.7435  0.8256
Ba  0.1283  0.2565  0.3256
Ga  0.4409  0.8818  0.4288
Ga  0.5591  0.1182  0.9288
Dy  0.2049  0.4098  0.0271
Dy  0.7951  0.5902  0.5271

## Properties
symmetry = Cmc2_1
E_form (uncorrected) = -1750 meV per atom
theoretical density = 4.56 g cm⁻³
D(E_F) = 0.0000 states/eV/atom


# 2
The following is a PBE calculation of crystalline Tb2Ag5 at its relaxed geometry, from Alexandria via LeMat-Bulk.

a = 6.0899 Å, b = 7.6271 Å, c = 8.1658 Å
α = 117.84°, β = 111.89°, γ = 90.00°
Atoms (fractional coordinates):
Ag  0.4708  0.7208  0.4415
Ag  0.5292  0.2792  0.5585
Ag  0.8665  0.6460  0.7330
Ag  0.9708  0.7208  0.4415
Ag  0.6335  0.9130  0.2670
Ag  0.0292  0.2792  0.5585
Ag  0.1335  0.3540  0.2670
Ag  0.3665  0.0870  0.7330
Ag  0.2500  0.5000  0.0000
Ag  0.7500  0.5000  0.0000
Tb  0.6017  0.2843  0.2034
Tb  0.3983  0.7157  0.7966
Tb  0.1017  0.9191  0.2034
Tb  0.8983  0.0809  0.7966

## Properties
symmetry = Ibam
ΔH_f (0 K) = -227.8 meV per atom
theoretical density = 9.36 g cm⁻³
D(E_F) = 0.6144 states/eV/atom


| no. | calculated total energy (eV per atom) | size of the total moment (μB/f.u.) |
| --- | --- | --- |
| 1 | -5.318 | 0.00 |
| 2 | -3.587 | 0.00 |

* * * * *

A plane-wave DFT calculation with PBE was carried out for crystalline Na4B7C at its relaxed geometry.

a = 10.3158 Å, b = 10.3125 Å, c = 2.7572 Å
α = 90.00°, β = 90.00°, γ = 116.02°
Last column: nearest neighbours and their distance in Å.
Sites, in units of the cell vectors:
Na1 0.7500 0.7500 0.5000  10 B 2.67-2.85, 2 Na 2.76, 2 C 2.88
Na2 0.5017 0.0004 0.5000  11 B 2.68-2.99, 2 Na 2.76, 1 C 2.85
Na3 0.2500 0.2500 0.5000  12 B 2.70-3.00, 2 Na 2.76
Na4 0.9983 0.4996 0.5000  11 B 2.68-2.99, 2 Na 2.76, 1 C 2.85
Na5 0.5017 0.5019 0.0000  10 B 2.69-2.95, 2 C 2.73, 2 Na 2.76
Na6 0.2500 0.7500 0.0000  12 B 2.72-2.99, 2 Na 2.76
Na7 0.9983 0.9981 0.0000  10 B 2.69-2.95, 2 C 2.73, 2 Na 2.76
Na8 0.7500 0.2500 0.0000  8 B 2.67-2.83, 4 C 2.72, 2 Na 2.76
C1 0.7947 0.0456 0.5000  3 B 1.56-1.61
C2 0.7053 0.4544 0.5000  3 B 1.56-1.61
B1 0.5608 0.8093 0.0000  3 B 1.75-1.78
B2 0.4607 0.2091 0.0000  3 B 1.71-1.78
B3 0.3037 0.0532 0.0000  3 B 1.71-1.78
B4 0.7198 0.9697 0.0000  2 C 1.61, 1 B 1.75
+++
## End of the data records

The influence of the mediator depends mainly on the quality of the relationship that is able to establish with parties. Neuro-linguistic programming techniques (NLP) are very important tools for his/her work, giving the mediator the power to communicate adequately with parties and to help them in recognizing the blocks that prevent from proceeding in their negotiated settlement of the dispute . Nevertheless, the mediator must avoid any abuse, which ultimately would also be useless. Any his intervention on parties represents nothing more than placing an input in the dispute “ complex system” , whose evolution is unpredictable and can’t be controlled in the long term. As a result , the use of NLP techniques may be appropriate , if the mediator tries to get the parties a short-term outcome, but useless when aimed at achieving an effect on a longer time scale in the negotiation.

The mediator is certainly empowered to make suggestions about the conduct of mediation, while it seems much more limited and variable to provide indications of a substantial nature, alleging that the actual content of a possible agreement .

Mediation is an activity at the same time supple and structured, which often starts in a moment well prior to the first joint-meetings between parties. As a preliminary to this moment, the mediator can have separate meetings with parties and other stakeholders, in order to gradually create the conditions for promoting the acceptance of mediation in all those who are involved. This requires a considerable freedom of action for the mediator, who must only worry not to affect parties’ perception of his/her neutrality.

Moreover, to be effective the mediation shall take due account of the specific peculiarities of each individual conflict. This means that mediator has to pay attention to various elements. First, the causes and the dynamics of conflict. Second, the positions and interests of the involved parties and stakeholders, but also to the consistency with which they all participate in the mediation. Third, the mandatory rules posed by legal systems relevant to the parties involved in the dispute.

In view of the above, the practice of mediation is highly specialized activity (something not yet fully recognized in Italy, as a result of lawyers bars lobbing on Italian Parliament). His/her high professionalism firstly allows the  mediator to act in a useful way to made parties trusting in the mediation and feeling it as a real way to sort from the conflict . In addition, he/she has the skills necessary to encourage interaction between parties, in order to move them into a generative collaboration. A prerequisite for the success of such an action is mediator ability to listen and dialogue, which does not arise at all from mere improvisation. A good mediator is also concerned that everyone sitting around the table can negotiate in an informed way. In such conditions, even when he/she is knowledgeable, patient , impartial and discreet, the mediator has a strong ability to help the negotiating parties to reach an agreement .

Despite this, the mediator is likely to fail, if he/she is not adequately supported in the environment where he/she operates. In other words, if – for whatever reason – the mediation is being boycotted or opposed by significant components of civil society (like most of lawyers in Italy), in which parties live or by whom they are influenced, litigants hardly accept to give during the mediation itself or they participate without conviction, despite all mediator’s efforts. The negative consequences of such a situation, however, strike only litigants and not those who boycotted the mediation instead. In the case of disputes in civil and commercial matters, boycotting mediation apparently damages personal and financial interests of the litigants only. In the reality, recent studies have revealed that the entire society suffers high costs because the non-use of mediation .

In light of the above, the task of the mediator is to facilitate communication and dialogue between parties, moving them away from a blocked negotiate on their initial positions and bringing them to consider their real interests at stake. Shifting litigants’ attention to this last target, the same way to negotiate the conflict evolves significantly: it becomes similar to a negotiation between parties that intend to proceed to the conclusion of any personal or business relationship, without having any prior contact.

When lawyers assist litigants during a mediation, the first ones must consider the particular contest in which they are requested to act. In fact, it’s totally useless a lawyer who masterfully defends his/her client positions with the best dialectical artifices, as it would be in front to the court: the result is only to sink the negotiation. On the contrary, in mediation parties need good legal advisors, who helps to better assess the situation and the evolution of the negotiation, before, and to draw properly the possible settlement, then.

[1] Some works of mine on mediation are the following: “Mediation e processo civile”, in Contratto e Impresa / Europa , 1, 2002, pag.97 (my proposal to introduce mediation in Italy – where it was unknown – on European Union Paris convention results. I examine how mediation could be compatible with civil code principles); “Brevi note al modello di legge uniforme UNCITRAL sulla conciliazione/mediazione delle controversie commerciali internazionali”, in Contratto e Impresa / Europa , 2, 2003, p. 1341 (commentary on UNCITRAL model law on mediation); “Le controversie tra sub-fornitori e committenti” nonché “I conflitti condominiali”, in AA.VV., “ADR: La negoziazione assistita nei conflitti economici”, Milano, 2005 (ISBN 88-8363-708-9, one of the first Italian books on ADR: mediation, mini-trial, neutral evaluation and more); “I sistemi ADR nell’ottica del legislatore comunitario” in Contratto e Impresa / Europa, I, 2009, p. 59 (a first deep commentary on European Union directive on mediation); “La direttiva UE sulla mediazione”, “Le raccomandazioni CE sugli organismi per la conciliazione delle controversie individuali di consumo”, “Gli Organismi di mediazione” nonché “La deontologia per il mediatore” in AA.VV., “La mediazione nelle liti civili e commerciali”, Milano, 2010 (ISBN 88-14-16006-6: a compressive book on European and Italian legislation on mediation); “Contributo al dibattito sulla mediazione civile e commerciale“, in Contratto e Impresa / Europa, n. 1, 2011, p. 97 (it’s about the taught discussions and reactions arising from mediation introduction in Italy: first I explain what mediation is and then I defense it showing that mediation adversary thesis have no juridical ground); “La risoluzione del Parlamento Europeo sull’attuazione della direttiva 52/2008/CE sulla mediazione“, in La Mediazione – proposta in mediazione, 3 – 2012, p. 118 (my commentary on European Parliament resolution about the receptions of EC mediation directive in member States); “U.N. guideline for effective mediation”, in Contratto e Impresa / Europa, 1, 2013, p.419; “ADR and ODR for consumer disputes in UE law, in Contratto e Impresa / Europa, 2, 2013.

[2] A. GANDOLFI, Formicai, imperi e cervelli – Introduzione alla scienza delle complessità, Torino, 1999.